Burns are one of the many injuries for which servicemembers are at risk. They comprise roughly five percent of all combat-related injuries, according to the US Army. Burns are complicated and painful injuries that may necessitate long-term care and lead to various complications. Fires, explosives, nuclear weapons, and chemicals are just a few of the sources of military burns.

Burn scars can cause physical limitations as well as greatly impair a person’s ability to cope in public. Fortunately, veterans with service-related serious burn scars can obtain disability benefits from the US Department of Veterans Affairs (VA) if they meet all the qualifications. Like other injuries, your disability rating will determine the payments you are eligible to receive.

How does the VA evaluate burn scars?

== Attached: records of crystals ==
'''
Entry from Alexandria via LeMat-Bulk: Pr3ErTm3Te8 after structural relaxation (PBE-GGA).

Computed properties:
ΔE_f (raw) = -1.371 eV/atom
Calculated volume = 32.09 A^3/atom
DOS at the Fermi energy = 0.458 states/eV per atom
Mass density = 7.30 Mg/m³
SG = R-3m, No. 166

Cell: 8.747 8.748 8.847 Å, 119.63 90.00 120.00°
Sites, in units of the cell vectors:
Te (0.737, 0.988, 0.739)
Te (0.251, 0.502, 0.739)
Te (0.251, 0.988, 0.739)
Te (0.256, 0.512, 0.268)
Te (0.744, 0.488, 0.732)
Te (0.749, 0.012, 0.261)
Te (0.263, 0.012, 0.261)
Te (0.749, 0.498, 0.261)
'''

The disability ratings for burn scars are detailed in the 38 CFR Book C, Schedule for Rating Disabilities, under § 4.118. The guidelines are very specific. There are four categories of burn scars in the schedule:

  • Scars on or disfigurements of the head, face, or neck
  • Linear scars elsewhere on the body
  • Non-linear and deep scars elsewhere on the body
  • Non-linear and superficial scars elsewhere on the body

Each category has various codes, stipulations, and disability ratings. For instance, veterans with burns on the head, face, or neck that involve a “palpable tissue loss and either gross distortion or asymmetry of three or more facial features” get an 80 percent disability rating.

Those with superficial, nonlinear scars elsewhere on the body that are 144 square inches or larger qualify get a 10 percent disability rating. Also, scars that are painful or unstable may receive two ratings: once under Code 7804 and once under one of the four above appropriate categories.

If the burn scars are on the head, face, or neck, veterans can qualify for disability rating if they have one or more characteristics of disfigurement. The more characteristics your injury has, the higher your rating. The eight characteristics of burn scar disfigurement include:

  • A scar five inches or longer
  • A scar at least one-quarter inch wide
  • A elevated or depressed scar
  • A scar that sticks to underlying tissue
  • Hypo-or hyper-pigmented skin in an area exceeding six square inches
  • Scarring in an area exceeding six square inches with abnormal texture (e.g., irregular, atrophic, shiny, scaly, etc.)
  • Missing underlying soft tissue exceeding six square inches
  • Inflexible, indurated skin exceeding six square inches

You can read over the Schedule for Rating Disabilities for details on burn scars that qualify you for VA disability benefits, although the codes are somewhat complex. For help deciphering your benefits, give Burn Victims Resource a call.

How do I obtain benefits for my burn scars?

You may need to apply for VA disability benefits either online, at a VA office, or with the help of a legal advisor. During the application process, you will also have to fill out and submit the Disability Benefits Questionnaire (DBQ) for scars and disfigurement, which your doctor will have to sign. On the form, you will provide notes on your diagnosis, detailed measurements of your scars, and how the scars have limited your functional capacity. Be prepared to have adequate medical evidence to support your claim.

Note: The VA changed its disability ratings for burn injuries in 2008. If you are currently receiving disability benefits for burn scars obtained prior to that time, consider sending in an appeal. You might be entitled to additional compensation.

If you need help pursuing VA disability benefits, call us at 844-549-8774 to speak with our lawyer referral specialists.